Pain is an Important Signal

By: South Austin Chiro

Ever lived with a smoke alarm in the kitchen that had a hair trigger?  The kind where you cook anything for longer than 5 minutes and the alarm sounds, sending everyone in the house flying to open windows and doors to shut the racket off?

The problem with an alarm system that is predictably over-sensitive is that it stops generating the intended response.  No one flees the house to safeguard themselves from an impending fire after a dozen false alarms.  Adaptation occurs very quickly, and response turns into frustration.  The result of this is simple – ignore the alarm.

What can this aggravating experience teach us about pain?  First of all, fire alarms are super motivating because they can be painfully loud.  And just like that alarm, nothing motivates like pain.  It is nature’s original and primary motivator.  It is a signal that says “time to do something differently because there is a problem.”

These calculated crystals were left in the piece by mistake.
~~~
# 1
Theoretical powder diffraction line list of K7NaTe4O32 for CuKα, from a DFT-relaxed cell (GGA-PBE, the Materials Project).
Peak positions follow from Bragg's law for the DFT cell and can differ from measured ones.

Crystal structure
```
K7NaTe4O32
1.0
-3.4032 7.9872 8.6302
3.4032 -7.9872 8.6302
3.4032 7.9872 -8.6302
K Na Te O
7 1 4 32
direct
0.0000 0.0000 0.0000 K
0.2027 0.2027 0.0000 K
0.2348 0.5000 0.7348 K
0.3752 0.3752 0.0000 K
0.6248 0.6248 0.0000 K
0.7652 0.5000 0.2652 K
0.7973 0.7973 0.0000 K
0.5000 0.0000 0.5000 Na
0.1925 0.7911 0.4014 Te
0.3897 0.7911 0.5986 Te
0.6103 0.2089 0.4014 Te
0.8075 0.2089 0.5986 Te
0.0280 0.7053 0.3228 O
0.0564 0.0065 0.2357 O
0.0564 0.8206 0.0498 O
0.1875 0.0673 0.6748 O
0.1875 0.5127 0.1203 O
0.2031 0.8781 0.3250 O
0.2162 0.7162 0.5000 O
0.2292 0.1794 0.2357 O
0.2292 0.9935 0.0498 O
0.3677 0.8677 0.5000 O
0.3825 0.7053 0.6772 O
0.3925 0.0673 0.8797 O
0.3925 0.5127 0.3252 O
0.4004 0.4051 0.8055 O
0.4004 0.5949 0.9952 O
0.4470 0.1219 0.3250 O
0.5530 0.8781 0.6750 O
0.5996 0.4051 0.0048 O
0.5996 0.5949 0.1945 O
0.6075 0.4873 0.6748 O
0.6075 0.9327 0.1203 O
0.6175 0.2947 0.3228 O
0.6323 0.1323 0.5000 O
0.7708 0.0065 0.9502 O
0.7708 0.8206 0.7643 O
0.7838 0.2838 0.5000 O
0.7969 0.1219 0.6750 O
0.8125 0.4873 0.8797 O
0.8125 0.9327 0.3252 O
0.9436 0.1794 0.9502 O
0.9436 0.9935 0.7643 O
0.9720 0.2947 0.6772 O
```

Largest 12 diffraction maxima, most intense first, 2θ from 15° to 90°:
- 17.50 deg, I 1000
- 26.19 deg, I 500
- 38.39 deg, I 386
- 20.21 deg, I 355
- 31.12 deg, I 355
- 16.38 deg, I 338
- 32.66 deg, I 285
- 15.11 deg, I 256
- 47.06 deg, I 209
- 26.41 deg, I 200
- 30.89 deg, I 188
- 24.56 deg, I 180

***

# 2
Theoretical powder diffraction line list of K4Na2TeO6 for CuKα, from a DFT-relaxed cell (GGA-PBE, the Materials Project).
Peak positions follow from Bragg's law for the DFT cell and can differ from measured ones.

Crystal structure
```
K4Na2TeO6
1.0
6.7662 0.0000 0.0000
0.0000 10.0624 0.0000
-3.9683 0.0000 6.1722
K Na Te O
8 4 2 12
direct
0.0016 0.1772 0.0142 K
0.0016 0.3228 0.5142 K
0.1872 0.5122 0.9333 K
0.1872 0.9878 0.4333 K
0.8128 0.0122 0.5667 K
0.8128 0.4878 0.0667 K
0.9984 0.6772 0.4858 K
0.9984 0.8228 0.9858 K
0.4879 0.2420 0.7143 Na
0.4879 0.2580 0.2143 Na
0.5121 0.7420 0.7857 Na
0.5121 0.7580 0.2857 Na
0.5000 0.0000 0.0000 Te
0.5000 0.5000 0.5000 Te
0.2490 0.6292 0.3025 O
0.2490 0.8708 0.8025 O
0.2778 0.1504 0.8435 O
0.2778 0.3496 0.3435 O
0.3883 0.5083 0.7015 O
0.3883 0.9917 0.2015 O
0.6117 0.0083 0.7985 O
0.6117 0.4917 0.2985 O
0.7222 0.6504 0.6565 O
0.7222 0.8496 0.1565 O
0.7510 0.1292 0.1975 O
0.7510 0.3708 0.6975 O
```

Largest 12 diffraction maxima, most intense first, 2θ from 15° to 90°:
- 16.86 deg, I 1000
- 27.92 deg, I 644
- 37.83 deg, I 619
- 30.15 deg, I 410
- 38.72 deg, I 382
- 17.63 deg, I 294
- 44.13 deg, I 266
- 23.60 deg, I 248
- 30.34 deg, I 203
- 15.57 deg, I 184
- 28.95 deg, I 165
- 34.08 deg, I 153

***

# 3
~~~

And that is where pain comes in.  Pain tells us that a certain threshold of damage has occurred, and tells us in a way that is very hard to ignore.  But the second important thing to understand about pain is it is usually a late indication that a problem has occurred – the opposite of what most people think.  Which is that pain is a real-time, comprehensive, universal problem detecting system.  Which it is not.

It is understandable that we often think that pain is reporting any and all issues, because it is capable of being such a strong signal.  But just like that fire alarm lost its utility from being overly sensitive, pain would be the same way. If everything hurt all of the time, it loses its specificity as a signal, and as a guide as to what to do.

This is exactly why the most important view of pain is as a strong signal to be paid attention to, that something already has happened.  Unfortunately, our culture tells us the opposite, that any initial bout of pain should be ignored or covered up. Look at pain as an important signal that should be used to guide behavior.  Not running in panic to shut off the signal.  This simple shift in thinking can solve problems using this sequence:

  • what is damaged
  • stop damaging it
  • correct the damage that was caused (ie, chiropractic adjustments).

For those interested in more than just controlling symptoms, but actually addressing the cause, give them this simple system to help those in your life understand that pain is a signal to make changes, instead of panicking and running to shut them off.  There are so many avenues in which chiropractic care can help – cleaning up the damage that was caused, but even more importantly, in teaching that we should address the cause rather than silence the alarm.